{
  "formula": "C4H9N",
  "method": "ωB97M-V with the def2-TZVPD basis set",
  "e_above_lowest_kcal_mol": 28.9,
  "spin_multiplicity": 2,
  "homo_lumo_gap_ev": [3.237, 7.004],
  "largest_force_ev_per_a": 0.893,
  "lumo_energy_ev": [4.074, 4.006],
  "s2": 0.7542,
  "e_homo_ev": [0.837, -2.998],
  "total_charge": -1,
  "symbols": ["H", "H", "H", "H", "N", "C", "C", "H", "H", "H", "H", "C", "H", "C"],
  "xyz": [[1.9603, -0.6136, 0.7589], [0.2756, -0.6841, -1.8111], [2.6082, 1.6300, 0.0075], [-1.2896, 0.9430, 1.5360], [-2.9225, -0.3591, 1.0311], [-2.0465, 0.6551, 0.7856], [1.8244, 1.0773, -0.4951], [1.1838, -2.0436, -1.1004], [-0.2250, -1.3544, -0.2605], [-2.5809, -0.9837, 1.7572], [1.4012, 1.4823, -1.4045], [1.5642, -0.1745, -0.1579], [-2.3973, 1.5385, 0.2325], [0.6442, -1.1132, -0.8793]],
  "forces_ev_per_a": [[0.3, 0.3, -0.1], [0.0, 0.0, 0.0], [-0.3, 0.3, 0.2], [0.1, -0.1, 0.0], [-0.6, -0.2, -0.4], [0.3, 0.3, 0.4], [0.7, -0.4, -0.4], [-0.1, 0.0, 0.0], [0.0, 0.1, 0.0], [0.3, 0.1, 0.1], [-0.1, 0.2, 0.0], [-0.6, -0.5, 0.3], [-0.1, -0.3, -0.1], [0.0, 0.1, 0.0]],
  "lowdin_charge": [0.086, 0.063, 0.034, -0.051, -0.243, -0.438, -0.041, 0.058, 0.053, -0.094, 0.046, -0.269, -0.062, -0.142]
}


{
  "formula": "C4H9N",
  "method": "ωB97M-V with the def2-TZVPD basis set",
  "e_above_lowest_kcal_mol": 56.9,
  "homo_lumo_gap_ev": 9.577,
  "largest_force_ev_per_a": 2.893,
  "smiles": "C=NC(=C)C.[H][H]",
  "lumo_energy_ev": 0.452,
  "e_homo_ev": -9.125,
  "symbols": ["C", "H", "H", "H", "H", "H", "H", "C", "C", "N", "H", "H", "H", "C"],
  "xyz": [[-2.1906, 0.2100, 0.3167], [-3.0600, 0.8583, 0.2751], [1.9012, 0.4381, 1.5037], [-0.5755, -2.0221, 0.0725], [1.2886, 1.8166, 0.5264], [-2.3559, -0.8586, 0.4073], [-0.0431, 0.6754, -2.1794], [1.4958, 0.7281, 0.5139], [0.2452, -0.0478, 0.2137], [-1.0158, 0.7238, 0.2409], [2.2567, 0.5246, -0.2664], [0.5362, 0.2531, -2.2849], [1.2317, -1.9053, 0.4044], [0.2855, -1.3942, 0.2560]],
  "forces_ev_per_a": [[2.1, 0.2, -0.2], [0.1, 0.1, 0.1], [-0.2, 0.2, -0.6], [-0.1, 0.0, 0.1], [0.1, -0.6, 0.0], [-0.2, -0.3, 0.0], [-0.5, 0.5, -0.1], [0.2, 0.8, -0.3], [-1.6, -1.4, 2.0], [-0.1, -0.2, -0.6], [-0.3, 0.2, 0.5], [0.5, -0.3, -0.3], [-0.1, 0.1, -0.1], [0.0, 0.9, -0.5]],
  "lowdin_charge": [-0.040, 0.064, 0.084, 0.047, 0.076, 0.060, 0.047, -0.094, -0.465, 0.001, 0.075, 0.050, 0.066, 0.029]
}


{
  "formula": "C4H9N",
  "method": "ωB97M-V with the def2-TZVPD basis set",
  "e_above_lowest_kcal_mol": 59.3,
  "homo_lumo_gap_ev": 8.093,
  "largest_force_ev_per_a": 2.195,
  "smiles": "C=CNCC",
  "lumo_energy_ev": 0.937,
  "e_homo_ev": -7.157,
  "symbols": ["H", "C", "H", "N", "H", "H", "H", "H", "C", "H", "C", "H", "C", "H"],
  "xyz": [[0.6046, 2.5267, 1.1507], [-0.3973, 2.1158, 1.1137], [-0.9188, 0.0639, 1.1621], [0.0724, 0.3945, -0.6150], [-1.3048, 2.6948, 1.1842], [1.8225, -0.9676, -0.5345], [0.8114, -1.0845, -1.8203], [-0.1479, -2.9731, -0.7537], [-0.4479, 0.8478, 0.5468], [-1.0899, -1.7124, -0.1268], [-0.0661, -2.1062, -0.1137], [0.4570, 1.0543, -1.2814], [0.7388, -0.9018, -0.7594], [0.2527, -2.3960, 0.8923]],
  "forces_ev_per_a": [[-0.2, 1.0, -1.1], [0.9, -1.1, -1.5], [-0.8, 0.1, -1.0], [2.1, -0.6, 0.2], [0.0, -0.1, 1.5], [-0.5, 0.6, 0.8], [-0.5, -0.1, -0.6], [0.6, -0.2, -0.2], [-1.1, 0.2, 1.7], [0.0, -0.3, 0.6], [-0.3, 1.8, -0.5], [-0.2, 0.4, 0.5], [0.1, -1.9, -0.2], [-0.1, 0.2, -0.2]],
  "lowdin_charge": [0.017, -0.045, 0.101, -0.024, 0.024, 0.109, 0.093, 0.057, -0.276, 0.063, -0.080, 0.130, -0.239, 0.070]
}


{
  "formula": "C4H9N",
  "method": "ωB97M-V with the def2-TZVPD basis set",
  "e_above_lowest_kcal_mol": 18.1,
  "homo_lumo_gap_ev": 10.176,
  "largest_force_ev_per_a": 0.503,
  "smiles": "C=CCNC",
  "lumo_energy_ev": 1.205,
  "e_homo_ev": -8.970,
  "symbols": ["C", "H", "C", "H", "H", "N", "H", "H", "H", "H", "H", "C", "H", "C"],
Now say how many lines of the data above hold the word "forces_ev_per_a", as a bare number.
3